_Exercise_
Reproduce all of the data further below exactly.
_Input_
'''
This entry pairs a crystal structure of K4MgMo3O12 with its computed powder X-ray diffraction pattern. Radiation: Cu Kα (weighted mean of Kα1 and Kα2). Structure: a DFT-relaxed cell (GGA+U, Alexandria).
Intensities are scaled so that the largest is 100.

The 10 most intense peaks (10° ≤ 2θ ≤ 90°), sorted by position:
- 17.47°, 5.077 Å, rel. 68.5
- 21.25°, 4.181 Å, rel. 74.4
- 23.21°, 3.832 Å, rel. 61.1
- 25.39°, 3.508 Å, rel. 48.6
- 25.48°, 3.496 Å, rel. 64.3
- 27.20°, 3.279 Å, rel. 53.3
- 27.94°, 3.193 Å, rel. 90.0
- 28.06°, 3.180 Å, rel. 82.1
- 28.26°, 3.158 Å, rel. 100.0
- 28.83°, 3.097 Å, rel. 65.9

Crystal structure
```
K4MgMo3O12
1.0
8.0182 0.0000 0.0000
-2.9693 9.6953 0.0000
-2.8809 -1.4933 9.6253
K Mg Mo O
8 2 6 24
Direct
0.0000 0.0000 0.0000
0.1449 0.5667 0.8847
0.2496 0.5305 0.4753
0.2806 0.2399 0.7752
0.5000 0.0000 0.0000
0.7194 0.7601 0.2248
0.7504 0.4695 0.5247
0.8551 0.4333 0.1153
0.3322 0.1226 0.4470
0.6678 0.8774 0.5530
0.1121 0.8492 0.6140
0.2684 0.8128 0.2554
0.3765 0.3568 0.1863
0.6235 0.6432 0.8137
0.7316 0.1872 0.7446
0.8879 0.1508 0.3860
0.0557 0.6956 0.2591
0.1073 0.6735 0.6296
0.1159 0.1566 0.4908
0.1702 0.9450 0.7830
0.2017 0.4370 0.1372
0.2657 0.9918 0.2697
0.2831 0.9322 0.5344
0.2931 0.7821 0.0887
0.3324 0.2155 0.0529
0.3832 0.3001 0.3546
0.4051 0.5148 0.7900
0.4595 0.7787 0.3794
0.5405 0.2213 0.6206
0.5949 0.4852 0.2100
0.6168 0.6999 0.6454
0.6676 0.7845 0.9471
0.7069 0.2179 0.9113
0.7169 0.0678 0.4656
0.7343 0.0082 0.7303
0.7983 0.5630 0.8628
0.8298 0.0550 0.2170
0.8841 0.8434 0.5092
0.8927 0.3265 0.3704
0.9443 0.3044 0.7409
```

=====

Computed powder diffractogram of La2BiB for Cu Kα (weighted mean of Kα1 and Kα2), from a structure optimized by DFT (PBE).
Neutral-atom scattering factors, no anomalous dispersion.

Structure:
Lattice parameters (Å, degrees): 7.909 7.909 7.498 90.00 90.00 90.00
Space group I-42d (No. 122)
Inequivalent atoms, fractional coordinates:
La 0.182 0.250 0.125 [8 per cell]
Bi 0.000 0.000 0.500 [4 per cell]
B 0.000 0.000 0.000 [4 per cell]

Largest 10 diffraction maxima, in order of rising 2θ, 2θ = 15–90°:
two_theta	d [Å]	Rel. int.
16.29	5.441	220
27.89	3.199	973
28.67	3.114	1000
32.01	2.796	540
'''
_Reply_
This entry pairs a crystal structure of K4MgMo3O12 with its computed powder X-ray diffraction pattern. Radiation: Cu Kα (weighted mean of Kα1 and Kα2). Structure: a DFT-relaxed cell (GGA+U, Alexandria).
Intensities are scaled so that the largest is 100.

The 10 most intense peaks (10° ≤ 2θ ≤ 90°), sorted by position:
- 17.47°, 5.077 Å, rel. 68.5
- 21.25°, 4.181 Å, rel. 74.4
- 23.21°, 3.832 Å, rel. 61.1
- 25.39°, 3.508 Å, rel. 48.6
- 25.48°, 3.496 Å, rel. 64.3
- 27.20°, 3.279 Å, rel. 53.3
- 27.94°, 3.193 Å, rel. 90.0
- 28.06°, 3.180 Å, rel. 82.1
- 28.26°, 3.158 Å, rel. 100.0
- 28.83°, 3.097 Å, rel. 65.9

Crystal structure
```
K4MgMo3O12
1.0
8.0182 0.0000 0.0000
-2.9693 9.6953 0.0000
-2.8809 -1.4933 9.6253
K Mg Mo O
8 2 6 24
Direct
0.0000 0.0000 0.0000
0.1449 0.5667 0.8847
0.2496 0.5305 0.4753
0.2806 0.2399 0.7752
0.5000 0.0000 0.0000
0.7194 0.7601 0.2248
0.7504 0.4695 0.5247
0.8551 0.4333 0.1153
0.3322 0.1226 0.4470
0.6678 0.8774 0.5530
0.1121 0.8492 0.6140
0.2684 0.8128 0.2554
0.3765 0.3568 0.1863
0.6235 0.6432 0.8137
0.7316 0.1872 0.7446
0.8879 0.1508 0.3860
0.0557 0.6956 0.2591
0.1073 0.6735 0.6296
0.1159 0.1566 0.4908
0.1702 0.9450 0.7830
0.2017 0.4370 0.1372
0.2657 0.9918 0.2697
0.2831 0.9322 0.5344
0.2931 0.7821 0.0887
0.3324 0.2155 0.0529
0.3832 0.3001 0.3546
0.4051 0.5148 0.7900
0.4595 0.7787 0.3794
0.5405 0.2213 0.6206
0.5949 0.4852 0.2100
0.6168 0.6999 0.6454
0.6676 0.7845 0.9471
0.7069 0.2179 0.9113
0.7169 0.0678 0.4656
0.7343 0.0082 0.7303
0.7983 0.5630 0.8628
0.8298 0.0550 0.2170
0.8841 0.8434 0.5092
0.8927 0.3265 0.3704
0.9443 0.3044 0.7409
```

=====

Computed powder diffractogram of La2BiB for Cu Kα (weighted mean of Kα1 and Kα2), from a structure optimized by DFT (PBE).
Neutral-atom scattering factors, no anomalous dispersion.

Structure:
Lattice parameters (Å, degrees): 7.909 7.909 7.498 90.00 90.00 90.00
Space group I-42d (No. 122)
Inequivalent atoms, fractional coordinates:
La 0.182 0.250 0.125 [8 per cell]
Bi 0.000 0.000 0.500 [4 per cell]
B 0.000 0.000 0.000 [4 per cell]

Largest 10 diffraction maxima, in order of rising 2θ, 2θ = 15–90°:
two_theta	d [Å]	Rel. int.
16.29	5.441	220
27.89	3.199	973
28.67	3.114	1000
32.01	2.796	540